-- File --
********
Record 1
# C2H8O2

A cluster of 2 separate species, C2H8O2 in total in a non-equilibrium geometry (ωB97M-V with the def2-TZVPD basis set, the Open Molecules 2025 dataset).

CARTESIAN COORDINATES (ANGSTROEM)
C -0.17214 1.64210 0.79345
O 0.38727 2.17930 1.99690
H 0.66897 1.25170 0.20352
H -0.72522 0.71286 0.92639
H -0.59711 2.52576 0.32693
H 0.21364 1.64898 2.76934
C 0.20128 -1.41153 -0.94745
O -0.63446 -2.49895 -1.29281
H 0.06647 -0.57029 -1.63789
H -0.06656 -1.09047 0.05290
H 1.25303 -1.71904 -0.96022
H -0.59516 -2.67041 -2.23107

Cartesian forces, eV/Å:
C 1.8 -0.2 0.5
O 0.1 0.2 0.0
H 0.0 0.5 -0.3
H -1.0 0.7 0.2
H -0.7 -0.6 -0.5
H -0.2 -0.4 0.1
C 0.2 -0.1 -0.5
O -0.4 -0.1 0.5
H 0.0 0.0 0.1
H 0.0 -0.1 0.0
H 0.0 0.2 0.1
H 0.1 0.0 -0.3

Its relative energy (zero: lowest compared OMol25 entry of this formula, charge and spin) is 101.0 kJ/mol. Its spin multiplicity is 1. The highest occupied orbital energy is -10.306 eV. As for the charge: 0. As for the electronic energy: -231.4238 Ha. The HOMO-LUMO gap is 0.40893 Eh. The value obtained for the LUMO energy is 0.82 eV.


Record 2
# C4H11NO

An isolated molecule of C4H11NO in a non-equilibrium geometry (ωB97M-V with the def2-TZVPD basis set, the Open Molecules 2025 dataset).

CARTESIAN COORDINATES (ANGSTROEM)
C 2.10188 -0.68023 -0.03431
C 0.80045 -0.27867 -0.78927
C -0.45171 -0.27541 0.11375
N -1.60701 -0.71841 -0.67642
C -0.68094 1.12366 0.68414
O -2.05548 1.43741 0.93602
H 1.86376 -1.02936 0.96901
H 2.88324 0.07184 -0.04229
H 2.52524 -1.59683 -0.44684
H 0.57713 -0.96888 -1.60020
H 1.05175 0.70018 -1.14363
H -0.31173 -0.98540 0.93409
H -2.37393 -0.07077 -0.53527
H -1.42054 -0.76101 -1.66691
H -0.31768 1.97074 0.10501
H -0.13217 1.24255 1.63397
H -2.45226 0.81857 1.55916

Cartesian forces, eV/Å:
C -0.5 -1.3 -0.2
C 0.9 -0.7 1.4
C 0.0 0.4 -1.3
N -0.3 0.1 0.3
C -0.2 0.5 1.6
O -0.1 0.0 -0.2
H 0.1 0.6 0.4
H -0.1 0.1 0.2
H 0.2 0.1 -0.4
H 0.4 0.1 -0.2
H -0.6 0.6 -0.7
H 0.0 0.0 0.0
H -0.1 -0.1 -0.1
H 0.1 0.1 0.0
H -0.1 -0.3 -0.7
H 0.0 -0.3 -0.1
H 0.3 0.0 0.1

Its relative energy (zero: lowest compared OMol25 entry of this formula, charge and spin) is 124.4 kJ/mol. Its spin multiplicity is 1. The highest occupied orbital energy is -9.197 eV. As for the charge: 0. As for the electronic energy: -288.9696 Ha. The HOMO-LUMO gap is 0.37604 Eh. The value obtained for the LUMO energy is 1.04 eV.


Record 3
# C11H14N3

The ion C11H14N3 with charge +1 in a non-equilibrium geometry (ωB97M-V with the def2-TZVPD basis set, the Open Molecules 2025 dataset).

CARTESIAN COORDINATES (ANGSTROEM)
C -0.38557 -2.57115 1.35441
N -0.56203 -2.06682 0.01045
C -0.49260 -0.82849 -0.42290
C -0.29355 -0.68172 -2.15432
C 1.13023 -1.13403 -2.05302
C 2.11281 -0.24572 -1.79767
C 1.83397 1.15265 -1.76711
C 0.61948 1.56994 -2.19546
N -0.35640 0.68043 -2.52220
N -0.28462 0.24501 0.34821
C 0.53754 0.34357 1.46801
C 0.33648 1.55198 2.04191
C -0.66129 2.23089 1.28498
C -1.00020 1.43673 0.24483
H 0.62872 -2.94951 1.50137
H -0.59246 -1.79369 2.08718
H -1.08148 -3.39543 1.50481
H -0.72238 -2.78321 -0.68798
H -0.89116 -1.26688 -2.99072
H 1.33139 -2.18858 -2.15148
H 3.13342 -0.57453 -1.67805
H 2.60454 1.85756 -1.51420
H 0.38541 2.61153 -2.35232
H -1.18951 1.01558 -2.98072
H 1.24648 -0.42469 1.69794
H 0.83288 1.92820 2.91333
H -1.06592 3.19848 1.50379
H -1.75415 1.56655 -0.50319

Cartesian forces, eV/Å:
C 0.0 -0.2 0.6
N 0.0 0.5 -0.2
C -1.1 -1.5 -2.6
C 0.0 -0.1 0.2
C 0.5 0.0 -0.4
C -0.4 -0.3 -0.2
C -0.3 0.5 0.0
C 0.8 0.1 0.1
N -0.4 0.1 -0.4
N 0.0 -0.1 0.2
C 0.4 0.1 0.5
C 0.1 -0.3 -0.1
C -0.1 -0.1 -0.3
C -0.4 0.5 0.1
H 0.0 0.1 0.0
H 0.0 -0.1 -0.1
H 0.0 0.1 0.0
H 0.0 0.2 -0.1
H 0.6 0.6 2.7
H 0.0 -0.1 0.0
H 0.1 -0.1 0.0
H 0.0 0.2 0.0
H 0.0 0.1 0.0
H 0.1 0.0 0.1
H 0.1 -0.2 0.0
H 0.2 0.0 0.1
H -0.1 0.2 0.0
H -0.1 0.0 -0.2
********

-- Exercise --
Quote the lines further up from the first line to the one with "-0.29355 -0.68172" exactly, please.

-- Done --
Record 1
# C2H8O2

A cluster of 2 separate species, C2H8O2 in total in a non-equilibrium geometry (ωB97M-V with the def2-TZVPD basis set, the Open Molecules 2025 dataset).

CARTESIAN COORDINATES (ANGSTROEM)
C -0.17214 1.64210 0.79345
O 0.38727 2.17930 1.99690
H 0.66897 1.25170 0.20352
H -0.72522 0.71286 0.92639
H -0.59711 2.52576 0.32693
H 0.21364 1.64898 2.76934
C 0.20128 -1.41153 -0.94745
O -0.63446 -2.49895 -1.29281
H 0.06647 -0.57029 -1.63789
H -0.06656 -1.09047 0.05290
H 1.25303 -1.71904 -0.96022
H -0.59516 -2.67041 -2.23107

Cartesian forces, eV/Å:
C 1.8 -0.2 0.5
O 0.1 0.2 0.0
H 0.0 0.5 -0.3
H -1.0 0.7 0.2
H -0.7 -0.6 -0.5
H -0.2 -0.4 0.1
C 0.2 -0.1 -0.5
O -0.4 -0.1 0.5
H 0.0 0.0 0.1
H 0.0 -0.1 0.0
H 0.0 0.2 0.1
H 0.1 0.0 -0.3

Its relative energy (zero: lowest compared OMol25 entry of this formula, charge and spin) is 101.0 kJ/mol. Its spin multiplicity is 1. The highest occupied orbital energy is -10.306 eV. As for the charge: 0. As for the electronic energy: -231.4238 Ha. The HOMO-LUMO gap is 0.40893 Eh. The value obtained for the LUMO energy is 0.82 eV.


Record 2
# C4H11NO

An isolated molecule of C4H11NO in a non-equilibrium geometry (ωB97M-V with the def2-TZVPD basis set, the Open Molecules 2025 dataset).

CARTESIAN COORDINATES (ANGSTROEM)
C 2.10188 -0.68023 -0.03431
C 0.80045 -0.27867 -0.78927
C -0.45171 -0.27541 0.11375
N -1.60701 -0.71841 -0.67642
C -0.68094 1.12366 0.68414
O -2.05548 1.43741 0.93602
H 1.86376 -1.02936 0.96901
H 2.88324 0.07184 -0.04229
H 2.52524 -1.59683 -0.44684
H 0.57713 -0.96888 -1.60020
H 1.05175 0.70018 -1.14363
H -0.31173 -0.98540 0.93409
H -2.37393 -0.07077 -0.53527
H -1.42054 -0.76101 -1.66691
H -0.31768 1.97074 0.10501
H -0.13217 1.24255 1.63397
H -2.45226 0.81857 1.55916

Cartesian forces, eV/Å:
C -0.5 -1.3 -0.2
C 0.9 -0.7 1.4
C 0.0 0.4 -1.3
N -0.3 0.1 0.3
C -0.2 0.5 1.6
O -0.1 0.0 -0.2
H 0.1 0.6 0.4
H -0.1 0.1 0.2
H 0.2 0.1 -0.4
H 0.4 0.1 -0.2
H -0.6 0.6 -0.7
H 0.0 0.0 0.0
H -0.1 -0.1 -0.1
H 0.1 0.1 0.0
H -0.1 -0.3 -0.7
H 0.0 -0.3 -0.1
H 0.3 0.0 0.1

Its relative energy (zero: lowest compared OMol25 entry of this formula, charge and spin) is 124.4 kJ/mol. Its spin multiplicity is 1. The highest occupied orbital energy is -9.197 eV. As for the charge: 0. As for the electronic energy: -288.9696 Ha. The HOMO-LUMO gap is 0.37604 Eh. The value obtained for the LUMO energy is 1.04 eV.


Record 3
# C11H14N3

The ion C11H14N3 with charge +1 in a non-equilibrium geometry (ωB97M-V with the def2-TZVPD basis set, the Open Molecules 2025 dataset).

CARTESIAN COORDINATES (ANGSTROEM)
C -0.38557 -2.57115 1.35441
N -0.56203 -2.06682 0.01045
C -0.49260 -0.82849 -0.42290
C -0.29355 -0.68172 -2.15432